Rise up! Out of the paralysis of toxic stress and trauma. It’s time my fellow nonspeaking autistics!

Trauma?? What trauma? I can sense you neurotypical onlookers wondering, perplexed. So let me paint you a word picture by way of explanation. Fair warning: it is a perhaps a rather uncomfortable, even disturbing image to ponder. But after all, trauma itself is disturbing. Living it is jarring. The wake up call must be as well.

Imagine for a moment that you are lying helpless on an operating table awaiting surgery. You look up, taking in the scene, but your awareness goes unnoticed. Because you are out of it-right? All known experts and research agree that you are not cognizant. Except you are. You are! You lie there powerless to impact the flurry of activity occurring around you and to you. You are considered to be and treated as a nonthinking, nonfeeling mound of flesh.

Calculated crystals, as found in the file:
-- begin --
Structure and simulated powder diffraction line list of Pm2CuAu (a structure optimized by DFT (PBE); CuKα).

Main lines, low angle first (2θ = 10–80°):
2θ/deg	I (rel.)
21.13	12
34.84	100
41.11	7
50.10	18
54.96	3
62.48	37
73.57	11
77.55	2

Cell and atoms:
abc: 5.150 5.150 5.150
angles: 60.00 60.00 60.00
Positions (direct):
1 Pm 0.250 0.250 0.250
2 Pm 0.750 0.750 0.750
3 Cu 0.000 0.000 0.000
4 Au 0.500 0.500 0.500

Structure and simulated powder diffraction line list of Mg3TiH8 (a structure optimized by DFT (PBE); CuKα).

Main lines, low angle first (2θ = 10–80°):
2θ/deg	I (rel.)
19.19	11
27.27	8
33.57	100
38.95	41
43.78	4
56.27	35
67.14	35
70.55	9

Cell and atoms:
abc: 4.624 4.624 4.624
angles: 90.00 90.00 90.00
Positions (direct):
1 Mg 0.000 0.000 0.500
2 Mg 0.000 0.500 0.000
3 Mg 0.500 0.000 0.000
4 Ti 0.500 0.500 0.500
5 H 0.257 0.257 0.257
6 H 0.257 0.257 0.743
7 H 0.257 0.743 0.257
8 H 0.257 0.743 0.743
9 H 0.743 0.257 0.257
10 H 0.743 0.257 0.743
11 H 0.743 0.743 0.257
12 H 0.743 0.743 0.743

Structure and simulated powder diffraction line list of KCe5S8 (a structure optimized by DFT (PBE); CuKα).

Main lines, low angle first (2θ = 10–80°):
2θ/deg	I (rel.)
25.29	100
32.76	76
32.97	31
39.01	42
39.16	29
47.04	29
49.57	27
66.71	19

Cell and atoms:
abc: 7.471 7.471 7.471
angles: 109.27 109.27 109.87
Positions (direct):
1 K 0.000 0.000 0.000
2 Ce 0.242 0.119 0.619
3 Ce 0.378 0.758 0.877
4 Ce 0.499 0.622 0.381
5 Ce 0.750 0.250 0.500
6 Ce 0.881 0.501 0.123
7 S 0.129 0.387 0.893
8 S 0.130 0.388 0.414
9 S 0.284 0.870 0.259
10 S 0.494 0.236 0.107
11 S 0.612 0.026 0.741
12 S 0.613 0.506 0.742
13 S 0.764 0.871 0.258
14 S 0.974 0.716 0.586
-- stop --

You can’t cry out, you can’t use your body in any way to signal your awareness, because it just won’t cooperate. You can’t make them realize that you are in there experiencing every bit of this. So they carry on oblivious to you. You sense their disregard for your presence, listen to their flippant unfiltered comments, hear their surgical plans and jargon, see their scalpels and saws, anticipate and feel the pain. You are trapped in your body. No way out. At their mercy. The fear, the hopelessness, the desperation washes over you. You realize that to their minds all is copacetic, but this does little to offset the horror of your lived experience. If you make it through, survive and live to tell the tale, this ordeal will not be soon forgotten.

Now imagine that this ordeal happens to you over and over, day after day, year after year. THIS, my friends, is the trauma. This is the lived experience of a nonspeaking autistic who has no way to communicate and is not presumed competent. We go through life without any control over that life because we can’t control our body to reliably speak or act on our environment. How our bodies do act get us labeled as disruptive, aggressive, weird, dumb and the list goes on. As a result we are bullied, marginalized, isolated, dismissed. All the while the ‘experts’ of our lives fail to see the folly of their ways. To be misjudged and mistreated to the extent that we are on a continual basis is nothing short of serial traumatization.

Gaining a way to communicate and being presumed competent is the first step to rising from this life paralysis. The next steps require wider awareness and access to emotional healing methodologies. Check out my recent presentation at

I-ASC’s SpellX event that seeks to spur this awareness. https://vimeo.com/478613863

After over a decade of being frozen out of a purposeful life, I gained my voice and rose up to achieve greater emotional wholeness. I want this for each and every nonspeaker on the planet. Nothing is impossible. Rise up!


No More Staying Down


Thankfulness NOW